KISS’ Ace Frehley Tells Celebrities To STFU About Trump Or GTFO Of The Country

# These materials data were left in the entry by mistake
/*
# 1
DFT (GGA-PBE) results for crystalline Li3CuS2 at its relaxed geometry.

Summary:
Energy, eV per atom: -4.041
Total magnetization, μB/f.u.: 0.00
Formation energy, kJ/mol of formula units: -690
Energy with MP2020 corrections, Ha/atom: -0.15468
Volume, Å³ per cell: 713

Cell and atoms, written as extended XYZ:
```
48
Lattice="-5.629 5.629 5.629 5.629 -5.629 5.629 5.629 5.629 -5.629" Properties=species:S:1:pos:R:3 pbc="T T T"
Li 7.011 4.200 4.233
Li -1.382 4.200 7.025
Li -1.396 7.011 1.428
Li -1.396 4.247 4.200
Li 1.396 1.382 4.200
Li 1.396 -1.382 1.428
Li 1.428 1.396 -1.382
Li 1.428 -1.396 7.011
Li 1.428 7.025 1.382
Li 1.428 4.233 4.247
Li 1.382 4.200 1.396
Li 1.382 1.428 7.025
Li 4.247 1.428 4.233
Li 4.247 4.200 -1.396
Li 4.200 1.396 1.382
Li 4.200 -1.396 4.247
Li 4.200 4.233 7.011
Li 4.200 7.025 -1.382
Li 4.233 4.247 1.428
Li 4.233 7.011 4.200
Li 7.025 -1.382 4.200
Li 7.025 1.382 1.428
Li 7.011 1.428 -1.396
Li -1.382 1.428 1.396
Cu -1.431 1.431 7.060
Cu -1.431 4.198 1.431
Cu 1.431 1.431 1.431
Cu 1.431 -1.431 4.198
Cu 1.431 7.060 -1.431
Cu 4.198 1.431 -1.431
Cu 4.198 4.198 4.198
Cu 7.060 -1.431 1.431
S -2.782 5.629 2.814
S 0.000 0.000 0.000
S 0.000 5.629 0.000
S 0.000 0.000 5.629
S 0.000 2.814 2.782
S 0.000 2.814 8.411
S 2.782 0.000 2.814
S 2.814 2.782 0.000
S 2.814 -2.782 5.629
S 2.814 2.847 5.629
S 2.814 8.411 0.000
S 2.847 5.629 2.814
S 5.629 0.000 0.000
S 5.629 2.814 -2.782
S 5.629 2.814 2.847
S 8.411 0.000 2.814
```

# 2
DFT (GGA-PBE) results for crystalline LiCuS2 at its relaxed geometry.

Summary:
Energy, eV per atom: -4.090
Total magnetization, μB/f.u.: 0.00
Formation energy, kJ/mol of formula units: -298
Energy with MP2020 corrections, Ha/atom: -0.15956
Volume, Å³ per cell: 134

Cell and atoms, written as extended XYZ:
```
8
Lattice="-2.560 -2.192 0.171 3.262 -3.534 3.529 -2.358 3.171 5.355" Properties=species:S:1:pos:R:3 pbc="T T T"
Li -2.459 0.489 2.763
Li 1.631 -1.767 1.765
Cu 0.000 0.000 0.000
Cu -0.828 -1.278 4.527
S -2.693 0.961 5.308
S 0.196 0.006 3.011
S 0.709 -0.370 5.873
S 1.038 -3.517 3.746
```

# 3
DFT (GGA-PBE) results for crystalline Li3CuS2 at its relaxed geometry.

Summary:
Energy, eV per atom: -4.004
Total magnetization, μB/f.u.: 0.00
Formation energy, kJ/mol of formula units: -669
Energy with MP2020 corrections, Ha/atom: -0.15330
Volume, Å³ per cell: 406

Cell and atoms, written as extended XYZ:
```
24
Lattice="-6.718 -3.094 -2.974 3.681 -5.496 -2.598 1.586 -7.526 4.248" Properties=species:S:1:pos:R:3 pbc="T T T"
Li -1.435 -11.369 -1.393
Li -2.283 -3.750 -1.660
Li -5.535 -4.417 -3.171
Li 0.502 -8.637 2.071
Li -4.827 -9.050 -1.013
Li 0.623 -9.164 -1.458
Li -2.073 -6.952 0.134
Li 3.376 -7.066 -0.311
Li -1.953 -7.479 -3.395
Li 4.084 -11.698 1.847
Li 0.833 -12.366 0.336
Li -0.015 -4.746 0.069
Cu 2.769 -9.915 0.457
Cu -2.334 -9.460 0.827
Cu 0.883 -6.655 -2.151
Cu -4.219 -6.201 -1.781
S 2.883 -8.207 1.763
S -0.347 -10.201 0.451
S -0.848 -9.808 -3.380
S -1.065 -2.393 0.079
S -0.386 -13.723 -1.403
S -0.603 -6.308 2.056
*/

In the lead-up to the 2016 election, tons of celebrities said they would leave the country if Donald Trump won. Instead of leaving after Trump’s victory the celebrity elite have taken to a never-ending bitch-fest about the freely-elected President of the United States. KISS founding member Ace Frehley thinks these liberal entertainers should stick by their word and leave the country and if that’s not possible that they should seriously consider shutting the f*ck up.

The article is interrupted by data records:
=====
A geometry-optimized Zn11B8Rh18 structure. Source: the Materials Project, functional GGA-PBE.

abc: 17.900 17.900 2.882
angles: 90.00 90.00 90.00
Positions (direct):
Zn  0.032  0.188  0.000
Zn  0.968  0.812  0.000
Zn  0.188  0.968  0.000
Zn  0.532  0.312  0.000
Zn  0.812  0.032  0.000
Zn  0.468  0.688  0.000
Zn  0.688  0.532  0.000
Zn  0.312  0.468  0.000
Zn  0.209  0.709  0.000
Zn  0.791  0.291  0.000
Zn  0.709  0.791  0.000
Zn  0.291  0.209  0.000
Zn  0.669  0.169  0.000
Zn  0.331  0.831  0.000
Zn  0.169  0.331  0.000
Zn  0.831  0.669  0.000
Zn  0.550  0.050  0.000
Zn  0.450  0.950  0.000
Zn  0.050  0.450  0.000
Zn  0.950  0.550  0.000
Zn  0.000  0.000  0.000
Zn  0.500  0.500  0.000
B  0.167  0.124  0.000
B  0.833  0.876  0.000
B  0.124  0.833  0.000
B  0.667  0.376  0.000
B  0.876  0.167  0.000
B  0.333  0.624  0.000
B  0.624  0.667  0.000
B  0.376  0.333  0.000
B  0.334  0.039  0.000
B  0.666  0.961  0.000
B  0.039  0.666  0.000
B  0.834  0.461  0.000
B  0.961  0.334  0.000
B  0.166  0.539  0.000
B  0.539  0.834  0.000
B  0.461  0.166  0.000
Rh  0.256  0.088  0.500
Rh  0.744  0.912  0.500
Rh  0.088  0.744  0.500
Rh  0.756  0.412  0.500
Rh  0.912  0.256  0.500
Rh  0.244  0.588  0.500
Rh  0.588  0.756  0.500
Rh  0.412  0.244  0.500
Rh  0.048  0.325  0.500
Rh  0.952  0.675  0.500
Rh  0.325  0.952  0.500
Rh  0.548  0.175  0.500
Rh  0.675  0.048  0.500
Rh  0.452  0.825  0.500
Rh  0.825  0.548  0.500
Rh  0.175  0.452  0.500
Rh  0.099  0.068  0.500
Rh  0.901  0.932  0.500
Rh  0.068  0.901  0.500
Rh  0.599  0.432  0.500
Rh  0.932  0.099  0.500
Rh  0.401  0.568  0.500
Rh  0.568  0.599  0.500
Rh  0.432  0.401  0.500
Rh  0.082  0.582  0.500
Rh  0.918  0.418  0.500
Rh  0.582  0.918  0.500
Rh  0.418  0.082  0.500
Rh  0.161  0.211  0.500
Rh  0.839  0.789  0.500
Rh  0.211  0.839  0.500
Rh  0.661  0.289  0.500
Rh  0.789  0.161  0.500
Rh  0.339  0.711  0.500
Rh  0.711  0.661  0.500
Rh  0.289  0.339  0.500

**DFT formation energy**: -0.426 eV/atom
**SG**: P4/mbm (127)
**Final energy**: -5.827 eV/atom

=====

A geometry-optimized ZrBRh3 structure. Source: the Materials Project, functional GGA-PBE.

abc: 4.151 4.151 4.151
angles: 90.00 90.00 90.00
Positions (direct):
Zr  0.000  0.000  0.000
B  0.500  0.500  0.500
Rh  0.000  0.500  0.500
Rh  0.500  0.500  0.000
Rh  0.500  0.000  0.500

**DFT formation energy**: -0.738 eV/atom
**SG**: Pm-3m (221)
**Final energy**: -8.202 eV/atom

=====

Computed, not measured: a relaxed Ni3SbN crystal at the PBE-GGA level of DFT.

CIF file:
```
data_Ni3SbN
_symmetry_space_group_name_H-M 'P 4/m m m'
_symmetry_Int_Tables_number 123
_symmetry_space_group_name_Hall '-P 4 2'
_cell_length_a 3.932
_cell_length_b 3.932
_cell_length_c 3.919
_cell_angle_alpha 90.00
_cell_angle_beta 90.00
_cell_angle_gamma 90.00
loop_
_atom_site_label
_atom_site_type_symbol
_atom_site_fract_x
_atom_site_fract_y
_atom_site_fract_z
Ni1 Ni 0.000 0.000 0.000
Ni2 Ni 0.000 0.500 0.500
Sb1 Sb 0.500 0.500 0.000
N1 N 0.000 0.000 0.500
```

Output
=====

Frehley did an interview with the Juliet: Unexpected podcast. Because in the Age of Trump any interview must involve bad mouthing President Trump, Frehley given the opportunity to join the chorus of all butthurt liberal celebrities, but he wasn’t having it.

“I hate politics. I don’t like talking politics, and I don’t think politics and music mix. I really frown on musicians who get up on a platform and start talking about the president or complain about… I just don’t think it belongs. I’m an entertainer. There’s no reason to bring up politics. Let me play my guitar and write songs and entertain people. That’s my job,” said Frehley.

........
A plane-wave DFT calculation with PBE+U was carried out for Li3MnCoO5 after structural relaxation.

Magnetic moment ... 7.00 μB per formula unit
Uncorrected energy ... -5.870 eV/atom
ΔH_f (0 K) ... -18.707 eV per formula unit
Excess energy over the best structure of this formula in the dataset ... 0.089 eV/atom

The structure in CIF format:
```
data_Li3MnCoO5
_chemical_formula_sum 'Li6 Mn2 Co2 O10'
_cell_length_a 3.035
_cell_length_b 6.027
_cell_length_c 10.216
_cell_angle_alpha 97.30
_cell_angle_beta 97.00
_cell_angle_gamma 95.07
_space_group_name_H-M_alt 'P -1'
_space_group_IT_number 2
_space_group_name_Hall '-P 1'
loop_
_atom_site_label
_atom_site_fract_x
_atom_site_fract_y
_atom_site_fract_z
_atom_site_occupancy
Li1 0.000 0.000 0.000 1
Li2 0.000 0.500 0.000 1
Li3 0.197 0.098 0.397 1
Li4 0.404 0.707 0.804 1
Mn1 0.197 0.602 0.397 1
Co1 0.408 0.189 0.809 1
O1 0.079 0.030 0.199 1
O2 0.127 0.565 0.205 1
O3 0.273 0.641 0.593 1
O4 0.329 0.161 0.616 1
O5 0.486 0.248 0.982 1
```


(1)
Material: Li2TiFe2O5
Method: DFT, PBE with a Hubbard U
State: relaxed

Results
E (MP2020): -153.67 eV for the cell shown
total DFT energy (no corrections): -137.78 eV per cell
DFT formation energy: -2.344 eV/atom
calculated volume: 193 Å³ per cell

Cell lengths 5.299, 5.303, 7.861 Å; angles 82.22, 70.80, 67.63 degrees
Space group P1 (No. 1)
Unique sites:
Li 0.000 0.000 0.000 x1
Li 0.083 0.488 0.805 x1
Li 0.387 0.988 0.198 x1
Li 0.692 0.503 0.604 x1
Ti 0.177 0.985 0.613 x1
Ti 0.481 0.483 0.003 x1
Fe 0.293 0.488 0.402 x1
Fe 0.593 0.992 0.809 x1
Fe 0.794 0.988 0.391 x1
Fe 0.883 0.497 0.204 x1
O 0.039 0.244 0.412 x1
O 0.147 0.738 0.187 x1
O 0.258 0.271 0.001 x1
O 0.331 0.745 0.802 x1
O 0.427 0.199 0.601 x1
O 0.508 0.749 0.418 x1
O 0.640 0.248 0.183 x1
O 0.707 0.715 0.003 x1
O 0.841 0.243 0.799 x1
O 0.963 0.760 0.604 x1

(2)
Material: Li3Ti2Fe3O10
Method: DFT, PBE with a Hubbard U
State: relaxed

Results
E (MP2020): -140.17 eV for the cell shown
total DFT energy (no corrections): -126.53 eV per cell
DFT formation energy: -2.431 eV/atom
calculated volume: 191 Å³ per cell

Cell lengths 5.150, 5.209, 7.837 Å; angles 73.47, 73.52, 78.14 degrees
Space group P-1 (No. 2)
Unique sites:
Li 0.000 0.000 0.000 x1
Li 0.483 0.713 0.107 x2
Ti 0.019 0.384 0.188 x2
Fe 0.031 0.188 0.602 x2
Fe 0.500 0.500 0.500 x1
O 0.195 0.040 0.167 x2
O 0.213 0.821 0.561 x2
O 0.217 0.606 0.975 x2
O 0.231 0.459 0.357 x2
O 0.256 0.299 0.729 x2

(3)
Material: Li4Ti3Fe3O12
Method: DFT, PBE with a Hubbard U
State: relaxed

Results
E (MP2020): -172.12 eV for the cell shown
total DFT energy (no corrections): -157.11 eV per cell
DFT formation energy: -2.546 eV/atom
calculated volume: 231 Å³ per cell

Cell lengths 6.014, 6.045, 6.704 Å; angles 103.35, 102.48, 91.10 degrees
Space group P-1 (No. 2)
Unique sites:
Li 0.000 0.000 0.000 x1
Li 0.174 0.665 0.665 x2
Li 0.500 0.000 0.000 x1
Ti 0.172 0.174 0.648 x2
Ti 0.500 0.500 0.000 x1
Fe 0.000 0.500 0.000 x1
Fe 0.336 0.823 0.338 x2
O 0.065 0.605 0.323 x2
........

When pressed further Space Ace spelled it out.

“Let me say this about Trump. Whether you love him or hate him, if you’re an American and you’re a patriot, you should get behind your president. He was elected. We live under the Constitution of the United States, and you’re supposed to support your president. Love him or hate him, you’re supposed to support him, or go move to another country… Being American, we have the right to free speech, and I’m all for everybody putting their two cents in on everything, but when musicians or actors get really verbal and jump on a bandwagon against our government, I don’t agree with that,” Frehley said.

No entertainer has ever said it more simply or perfectly: if you don’t like it, leave. Quit yer bitchin’.

This is awesome, but unfortunately Frehley qualified this with an “if” that will allow celebrities to continue to complain about Trump without being obliged to GTFO. He said, “if you’re a patriot” and liberals are definitely not. They hate this country, especially when a Republican is in office. A much better rule would be that if they live here and reap the benefits of the greatest nation the world has ever seen that they should show at least a little appreciation.

Frehley didn’t deliver this advice as a right-wing radical or a hardcore Trump supporter, he’s essentially apolitical, he just offered this up as the reasonable way to behave. Reason is another thing that liberals hate so this is not likely to affect the Trump Derangement Syndrome suffers of the entertainment industry in any way.

When I was a kid I was KISS fanatic and Ace was always my favorite. I still have all my old KISS albums on vinyl and even my KISS lunchbox. I still love KISS’ music, Ace is still my favorite, and this makes my love him even more. Too bad more musicians and actors can’t understand that their job is to entertain, not preach.